# Exercise
Reproduce the whole of the contents further down exactly.

# Input
'''
# SbTeAs2Pb, optimized geometry, DFT PBE
data_SbTeAs2Pb
_chemical_formula_sum 'Sb1 Te1 As2 Pb1'
_space_group_name_H-M_alt 'P 4/m m m'
_space_group_IT_number 123
_space_group_name_Hall '-P 4 2'
_cell_length_a 5.227
_cell_length_b 5.227
_cell_length_c 6.130
_cell_angle_alpha 90.00
_cell_angle_beta 90.00
_cell_angle_gamma 90.00
loop_
_atom_site_label
_atom_site_type_symbol
_atom_site_fract_x
_atom_site_fract_y
_atom_site_fract_z
Sb1 Sb 0.000 0.000 0.000
Te1 Te 0.500 0.500 0.500
As1 As 0.000 0.500 0.000
Pb1 Pb 0.000 0.000 0.500
# * raw total energy: -3.354 eV per atom
# * raw formation energy: 0.70 eV per atom

=====

# Th6Sb3As2Pb, optimized geometry, DFT PBE
data_Th6Sb3As2Pb
_chemical_formula_sum 'Th12 Sb6 As4 Pb2'
_space_group_name_H-M_alt 'C 1 2/m 1'
_space_group_IT_number 12
_space_group_name_Hall '-C 2y'
_cell_length_a 19.360
_cell_length_b 4.423
_cell_length_c 8.905
_cell_angle_alpha 90.00
_cell_angle_beta 103.65
_cell_angle_gamma 90.00
loop_
_atom_site_label
_atom_site_type_symbol
_atom_site_fract_x
_atom_site_fract_y
_atom_site_fract_z
Th1 Th 0.009 0.000 0.257
Th2 Th 0.170 0.500 0.105
Th3 Th 0.172 0.500 0.571
Sb1 Sb 0.000 0.500 0.500
Sb2 Sb 0.162 0.000 0.834
As1 As 0.168 0.000 0.336
Pb1 Pb 0.000 0.500 0.000
# * raw total energy: -6.771 eV per atom
# * raw formation energy: -0.95 eV per atom

=====

# Tm4Sb2AsPb, optimized geometry, DFT PBE
data_Tm4Sb2AsPb
_chemical_formula_sum 'Tm4 Sb2 As1 Pb1'
_space_group_name_H-M_alt 'P 1 2/m 1'
_space_group_IT_number 10
_space_group_name_Hall '-P 2y'
_cell_length_a 7.299
_cell_length_b 4.232
_cell_length_c 7.608
_cell_angle_alpha 90.00
_cell_angle_beta 108.85
_cell_angle_gamma 90.00
loop_
_atom_site_label
_atom_site_type_symbol
_atom_site_fract_x
_atom_site_fract_y
_atom_site_fract_z
Tm1 Tm 0.237 0.000 0.234
Tm2 Tm 0.246 0.500 0.764
Sb1 Sb 0.500 0.000 0.000
Sb2 Sb 0.500 0.500 0.500
As1 As 0.000 0.500 0.000
Pb1 Pb 0.000 0.000 0.500
# * raw total energy: -5.255 eV per atom
# * raw formation energy: -0.94 eV per atom

=====

# Tm4SbAsPb2, optimized geometry, DFT PBE
data_Tm4SbAsPb2
_chemical_formula_sum 'Tm4 Sb1 As1 Pb2'
_space_group_name_H-M_alt 'P 1 2/m 1'
_space_group_IT_number 10
_space_group_name_Hall '-P 2y'
_cell_length_a 7.143
_cell_length_b 4.090
_cell_length_c 8.032
_cell_angle_alpha 90.00
_cell_angle_beta 106.97
_cell_angle_gamma 90.00
loop_
_atom_site_label
_atom_site_type_symbol
_atom_site_fract_x
_atom_site_fract_y
_atom_site_fract_z
Tm1 Tm 0.228 0.000 0.219
Tm2 Tm 0.246 0.500 0.773
Sb1 Sb 0.500 0.000 0.000
As1 As 0.000 0.500 0.000
Pb1 Pb 0.000 0.000 0.500
Pb2 Pb 0.500 0.500 0.500
# * raw total energy: -5.053 eV per atom
# * raw formation energy: -0.79 eV per atom

=====

# ScAsPb, optimized geometry, DFT PBE
data_ScAsPb
_chemical_formula_sum 'Sc4 As4 Pb4'
_space_group_name_H-M_alt 'F -4 3 m'
_space_group_IT_number 216
_space_group_name_Hall 'F -4 2 3'
_cell_length_a 6.817
_cell_length_b 6.817
_cell_length_c 6.817
_cell_angle_alpha 90.00
_cell_angle_beta 90.00
_cell_angle_gamma 90.00
loop_
_atom_site_label
_atom_site_type_symbol
_atom_site_fract_x
_atom_site_fract_y
_atom_site_fract_z
Sc1 Sc 0.000 0.000 0.000
As1 As 0.250 0.250 0.250
Pb1 Pb 0.250 0.250 0.750
# * raw total energy: -5.050 eV per atom
# * formation enthalpy at 0 K: -15 kJ/mol of atoms

=====

# Sc2As2Pb, optimized geometry, DFT PBE
data_Sc2As2Pb
_chemical_formula_sum 'Sc4 As4 Pb2'
_space_group_name_H-M_alt 'P 4/m b m'
_space_group_IT_number 127
_space_group_name_Hall '-P 4 2ab'
_cell_length_a 7.787
_cell_length_b 7.787
_cell_length_c 3.629
_cell_angle_alpha 90.00
_cell_angle_beta 90.00
_cell_angle_gamma 90.00
loop_
_atom_site_label
_atom_site_type_symbol
_atom_site_fract_x
_atom_site_fract_y
_atom_site_fract_z
Sc1 Sc 0.148 0.352 0.000
As1 As 0.146 0.646 0.500
Pb1 Pb 0.000 0.000 0.500
# * raw total energy: -5.871 eV per atom
# * formation enthalpy at 0 K: -71 kJ/mol of atoms

=====

# ScAs4Pb, optimized geometry, DFT PBE
data_ScAs4Pb
_chemical_formula_sum 'Sc4 As16 Pb4'
_space_group_name_H-M_alt 'F -4 3 m'
'''

# Completed
# SbTeAs2Pb, optimized geometry, DFT PBE
data_SbTeAs2Pb
_chemical_formula_sum 'Sb1 Te1 As2 Pb1'
_space_group_name_H-M_alt 'P 4/m m m'
_space_group_IT_number 123
_space_group_name_Hall '-P 4 2'
_cell_length_a 5.227
_cell_length_b 5.227
_cell_length_c 6.130
_cell_angle_alpha 90.00
_cell_angle_beta 90.00
_cell_angle_gamma 90.00
loop_
_atom_site_label
_atom_site_type_symbol
_atom_site_fract_x
_atom_site_fract_y
_atom_site_fract_z
Sb1 Sb 0.000 0.000 0.000
Te1 Te 0.500 0.500 0.500
As1 As 0.000 0.500 0.000
Pb1 Pb 0.000 0.000 0.500
# * raw total energy: -3.354 eV per atom
# * raw formation energy: 0.70 eV per atom

=====

# Th6Sb3As2Pb, optimized geometry, DFT PBE
data_Th6Sb3As2Pb
_chemical_formula_sum 'Th12 Sb6 As4 Pb2'
_space_group_name_H-M_alt 'C 1 2/m 1'
_space_group_IT_number 12
_space_group_name_Hall '-C 2y'
_cell_length_a 19.360
_cell_length_b 4.423
_cell_length_c 8.905
_cell_angle_alpha 90.00
_cell_angle_beta 103.65
_cell_angle_gamma 90.00
loop_
_atom_site_label
_atom_site_type_symbol
_atom_site_fract_x
_atom_site_fract_y
_atom_site_fract_z
Th1 Th 0.009 0.000 0.257
Th2 Th 0.170 0.500 0.105
Th3 Th 0.172 0.500 0.571
Sb1 Sb 0.000 0.500 0.500
Sb2 Sb 0.162 0.000 0.834
As1 As 0.168 0.000 0.336
Pb1 Pb 0.000 0.500 0.000
# * raw total energy: -6.771 eV per atom
# * raw formation energy: -0.95 eV per atom

=====

# Tm4Sb2AsPb, optimized geometry, DFT PBE
data_Tm4Sb2AsPb
_chemical_formula_sum 'Tm4 Sb2 As1 Pb1'
_space_group_name_H-M_alt 'P 1 2/m 1'
_space_group_IT_number 10
_space_group_name_Hall '-P 2y'
_cell_length_a 7.299
_cell_length_b 4.232
_cell_length_c 7.608
_cell_angle_alpha 90.00
_cell_angle_beta 108.85
_cell_angle_gamma 90.00
loop_
_atom_site_label
_atom_site_type_symbol
_atom_site_fract_x
_atom_site_fract_y
_atom_site_fract_z
Tm1 Tm 0.237 0.000 0.234
Tm2 Tm 0.246 0.500 0.764
Sb1 Sb 0.500 0.000 0.000
Sb2 Sb 0.500 0.500 0.500
As1 As 0.000 0.500 0.000
Pb1 Pb 0.000 0.000 0.500
# * raw total energy: -5.255 eV per atom
# * raw formation energy: -0.94 eV per atom

=====

# Tm4SbAsPb2, optimized geometry, DFT PBE
data_Tm4SbAsPb2
_chemical_formula_sum 'Tm4 Sb1 As1 Pb2'
_space_group_name_H-M_alt 'P 1 2/m 1'
_space_group_IT_number 10
_space_group_name_Hall '-P 2y'
_cell_length_a 7.143
_cell_length_b 4.090
_cell_length_c 8.032
_cell_angle_alpha 90.00
_cell_angle_beta 106.97
_cell_angle_gamma 90.00
loop_
_atom_site_label
_atom_site_type_symbol
_atom_site_fract_x
_atom_site_fract_y
_atom_site_fract_z
Tm1 Tm 0.228 0.000 0.219
Tm2 Tm 0.246 0.500 0.773
Sb1 Sb 0.500 0.000 0.000
As1 As 0.000 0.500 0.000
Pb1 Pb 0.000 0.000 0.500
Pb2 Pb 0.500 0.500 0.500
# * raw total energy: -5.053 eV per atom
# * raw formation energy: -0.79 eV per atom

=====

# ScAsPb, optimized geometry, DFT PBE
data_ScAsPb
_chemical_formula_sum 'Sc4 As4 Pb4'
_space_group_name_H-M_alt 'F -4 3 m'
_space_group_IT_number 216
_space_group_name_Hall 'F -4 2 3'
_cell_length_a 6.817
_cell_length_b 6.817
_cell_length_c 6.817
_cell_angle_alpha 90.00
_cell_angle_beta 90.00
_cell_angle_gamma 90.00
loop_
_atom_site_label
_atom_site_type_symbol
_atom_site_fract_x
_atom_site_fract_y
_atom_site_fract_z
Sc1 Sc 0.000 0.000 0.000
As1 As 0.250 0.250 0.250
Pb1 Pb 0.250 0.250 0.750
# * raw total energy: -5.050 eV per atom
# * formation enthalpy at 0 K: -15 kJ/mol of atoms

=====

# Sc2As2Pb, optimized geometry, DFT PBE
data_Sc2As2Pb
_chemical_formula_sum 'Sc4 As4 Pb2'
_space_group_name_H-M_alt 'P 4/m b m'
_space_group_IT_number 127
_space_group_name_Hall '-P 4 2ab'
_cell_length_a 7.787
_cell_length_b 7.787
_cell_length_c 3.629
_cell_angle_alpha 90.00
_cell_angle_beta 90.00
_cell_angle_gamma 90.00
loop_
_atom_site_label
_atom_site_type_symbol
_atom_site_fract_x
_atom_site_fract_y
_atom_site_fract_z
Sc1 Sc 0.148 0.352 0.000
As1 As 0.146 0.646 0.500
Pb1 Pb 0.000 0.000 0.500
# * raw total energy: -5.871 eV per atom
# * formation enthalpy at 0 K: -71 kJ/mol of atoms

=====

# ScAs4Pb, optimized geometry, DFT PBE
data_ScAs4Pb
_chemical_formula_sum 'Sc4 As16 Pb4'
_space_group_name_H-M_alt 'F -4 3 m'